Excerpt.
-- begin --
Entry 1:
## La6Nd8Th (GGA-PBE)

Data for an optimized crystal structure of La6Nd8Th.

a = 8.9285 Å, b = 8.9285 Å, c = 8.9285 Å
α = 63.33°, β = 63.33°, γ = 63.33°
Sites, in units of the cell vectors:
Nd  0.7066  0.7651  0.1152
La  0.4616  0.7624  0.9056
Nd  0.4229  0.4229  0.4229
La  0.9056  0.4616  0.7624
La  0.0944  0.5384  0.2376
Nd  0.8848  0.2934  0.2349
Nd  0.1152  0.7066  0.7651
Nd  0.7651  0.1152  0.7066
Nd  0.2349  0.8848  0.2934
La  0.7624  0.9056  0.4616
Nd  0.2934  0.2349  0.8848
Th  0.0000  0.0000  0.0000
La  0.5384  0.2376  0.0944
Nd  0.5771  0.5771  0.5771
La  0.2376  0.0944  0.5384

- Total energy: -73.62 eV per cell
- Total moment: 0.00 μB per cell
- ΔH_f (0 K): 0.1005 eV per atom
- Calculated density: 6.8 g/cm3

***

Entry 2:
## La5Nd8Th (GGA-PBE)

Data for an optimized crystal structure of La5Nd8Th.

a = 8.7012 Å, b = 8.7015 Å, c = 8.7014 Å
α = 110.72°, β = 107.01°, γ = 110.72°
Sites, in units of the cell vectors:
Th  0.2500  0.5000  0.7500
Nd  0.7335  0.2582  0.3322
Nd  0.3310  0.2597  0.4357
La  0.8645  0.8958  0.1884
Nd  0.1759  0.7403  0.0712
La  0.2926  0.1042  0.9687
La  0.0313  0.3239  0.1355
Nd  0.0740  0.7418  0.4753
Nd  0.5643  0.8953  0.8241
Nd  0.5247  0.5987  0.2665
La  0.8116  0.6761  0.7074
Nd  0.9288  0.1047  0.6690
La  0.5000  0.0000  0.5000
Nd  0.6678  0.4013  0.9260

- Total energy: -66.70 eV per cell
- Total moment: 0.00 μB per cell
- ΔH_f (0 K): 0.2500 eV per atom
- Calculated density: 6.8 g/cm3

***

Entry 3:
## La2Nd3Th2 (GGA-PBE)

Data for an optimized crystal structure of La2Nd3Th2.

a = 3.4662 Å, b = 5.7397 Å, c = 23.5646 Å
α = 148.54°, β = 90.00°, γ = 90.00°
Sites, in units of the cell vectors:
Nd  0.0000  0.0131  0.5754
La  0.5000  0.0235  0.1500
Th  0.0000  0.0071  0.7161
Th  0.0000  0.9929  0.2839
La  0.5000  0.9765  0.8500
Nd  0.0000  0.9869  0.4246
Nd  0.0000  0.0000  0.0000

- Total energy: -37.63 eV per cell
- Total moment: 0.00 μB per cell
- ΔH_f (0 K): 0.1955 eV per atom
- Calculated density: 8.0 g/cm3

***

Entry 4:
## La8Nd6Th (GGA-PBE)

Data for an optimized crystal structure of La8Nd6Th.

a = 8.9163 Å, b = 8.9163 Å, c = 8.9163 Å
α = 63.53°, β = 63.53°, γ = 63.53°
Sites, in units of the cell vectors:
La  0.2438  0.8842  0.2876
Th  0.0000  0.0000  0.0000
La  0.2876  0.2438  0.8842
La  0.8842  0.2876  0.2438
Nd  0.4590  0.7563  0.9041
Nd  0.2437  0.0959  0.5410
Nd  0.5410  0.2437  0.0959
Nd  0.7563  0.9041  0.4590
La  0.7562  0.1158  0.7124
Nd  0.9041  0.4590  0.7563
La  0.5774  0.5774  0.5774
La  0.1158  0.7124  0.7562
La  0.7124  0.7562  0.1158
Nd  0.0959  0.5410  0.2437
La  0.4226  0.4226  0.4226

- Total energy: -73.97 eV per cell
- Total moment: 0.00 μB per cell
- ΔH_f (0 K): 0.0982 eV per atom
- Calculated density: 6.8 g/cm3

***

Entry 5:
## LaNd14Th (GGA-PBE)

Data for an optimized crystal structure of LaNd14Th.

a = 7.3467 Å, b = 7.3466 Å, c = 10.4458 Å
α = 90.00°, β = 90.00°, γ = 90.00°
Sites, in units of the cell vectors:
Th  0.8752  0.1248  0.0000
Nd  0.6288  0.8788  0.2484
Nd  0.8754  0.6252  0.5000
Nd  0.1210  0.8790  0.7517
Nd  0.6288  0.8788  0.7516
Nd  0.1212  0.3712  0.7516
Nd  0.1210  0.8790  0.2483
Nd  0.6289  0.3711  0.7516
Nd  0.3753  0.1255  0.0000
Nd  0.3754  0.6246  0.5000
Nd  0.3748  0.1246  0.5000
Nd  0.8749  0.1251  0.5000
La  0.3745  0.6255  0.0000
Nd  0.1212  0.3712  0.2484
Nd  0.8745  0.6247  0.0000
Nd  0.6289  0.3711  0.2484

- Total energy: -78.70 eV per cell
- Total moment: 0.00 μB per cell
- ΔH_f (0 K): 0.0249 eV per atom
- Calculated density: 7.0 g/cm3

***

Entry 6:
## La2NdTh4 (GGA-PBE)

Data for an optimized crystal structure of La2NdTh4.

a = 3.5971 Å, b = 3.5971 Å, c = 18.6066 Å
α = 90.00°, β = 95.55°, γ = 90.00°
Sites, in units of the cell vectors:
Th  0.3632  0.0000  0.7265
Th  0.9284  0.5000  0.8568
Th  0.0716  0.5000  0.1432
La  0.2041  0.5000  0.4082
La  0.7959  0.5000  0.5918
Nd  0.5000  0.0000  0.0000
Th  0.6368  0.0000  0.2735

- Total energy: -43.86 eV per cell
- Total moment: 0.00 μB per cell
-- stop --
Exercise.
Could you reproduce the lines further above up to the one that holds "La8Nd6Th.", that line included?
Done.
Entry 1:
## La6Nd8Th (GGA-PBE)

Data for an optimized crystal structure of La6Nd8Th.

a = 8.9285 Å, b = 8.9285 Å, c = 8.9285 Å
α = 63.33°, β = 63.33°, γ = 63.33°
Sites, in units of the cell vectors:
Nd  0.7066  0.7651  0.1152
La  0.4616  0.7624  0.9056
Nd  0.4229  0.4229  0.4229
La  0.9056  0.4616  0.7624
La  0.0944  0.5384  0.2376
Nd  0.8848  0.2934  0.2349
Nd  0.1152  0.7066  0.7651
Nd  0.7651  0.1152  0.7066
Nd  0.2349  0.8848  0.2934
La  0.7624  0.9056  0.4616
Nd  0.2934  0.2349  0.8848
Th  0.0000  0.0000  0.0000
La  0.5384  0.2376  0.0944
Nd  0.5771  0.5771  0.5771
La  0.2376  0.0944  0.5384

- Total energy: -73.62 eV per cell
- Total moment: 0.00 μB per cell
- ΔH_f (0 K): 0.1005 eV per atom
- Calculated density: 6.8 g/cm3

***

Entry 2:
## La5Nd8Th (GGA-PBE)

Data for an optimized crystal structure of La5Nd8Th.

a = 8.7012 Å, b = 8.7015 Å, c = 8.7014 Å
α = 110.72°, β = 107.01°, γ = 110.72°
Sites, in units of the cell vectors:
Th  0.2500  0.5000  0.7500
Nd  0.7335  0.2582  0.3322
Nd  0.3310  0.2597  0.4357
La  0.8645  0.8958  0.1884
Nd  0.1759  0.7403  0.0712
La  0.2926  0.1042  0.9687
La  0.0313  0.3239  0.1355
Nd  0.0740  0.7418  0.4753
Nd  0.5643  0.8953  0.8241
Nd  0.5247  0.5987  0.2665
La  0.8116  0.6761  0.7074
Nd  0.9288  0.1047  0.6690
La  0.5000  0.0000  0.5000
Nd  0.6678  0.4013  0.9260

- Total energy: -66.70 eV per cell
- Total moment: 0.00 μB per cell
- ΔH_f (0 K): 0.2500 eV per atom
- Calculated density: 6.8 g/cm3

***

Entry 3:
## La2Nd3Th2 (GGA-PBE)

Data for an optimized crystal structure of La2Nd3Th2.

a = 3.4662 Å, b = 5.7397 Å, c = 23.5646 Å
α = 148.54°, β = 90.00°, γ = 90.00°
Sites, in units of the cell vectors:
Nd  0.0000  0.0131  0.5754
La  0.5000  0.0235  0.1500
Th  0.0000  0.0071  0.7161
Th  0.0000  0.9929  0.2839
La  0.5000  0.9765  0.8500
Nd  0.0000  0.9869  0.4246
Nd  0.0000  0.0000  0.0000

- Total energy: -37.63 eV per cell
- Total moment: 0.00 μB per cell
- ΔH_f (0 K): 0.1955 eV per atom
- Calculated density: 8.0 g/cm3

***

Entry 4:
## La8Nd6Th (GGA-PBE)

Data for an optimized crystal structure of La8Nd6Th.